7 Reasons Why You Should Not Lose Weight After Giving Birth

Reasons why you should not lose weight after giving birth? Weight loss after childbirth is difficult for many women, but this is due to the nature of each woman and differs from one to the other. This is due to several things, including the nature of the body, metabolism rates, diet, feeding method and other reasons.

Women gain some weight during pregnancy, and this is normal for the safety and nutrition of the child, but is there a way to return to normal weight and lose weight after childbirth? Is losing weight after childbirth difficult?

Average weight loss after childbirth

A woman’s weight increases during pregnancy for certain reasons, which can reach 16 kilograms.

The increase occurs for many reasons, including an increase in the size of the uterus, an increase in amniotic fluid for feeding the fetus and supplying it with its necessary needs, as well as the natural increase of fat, which makes the woman bear the process of childbirth and then breastfeeding.

In the first week of childbirth, a woman can lose about 2 or 2.5 kg, then the rate of burning and weight loss will gradually decrease.

<<<
Entry 1:
48
Properties=species:S:1:pos:R:3:forces:R:3 method="wB97M-V/def2-TZVPD" largest_force_ev_per_a=3.2 gap_ev=10.1 smiles=CCO.CCO.CO.CO.CO.CO.CO relative_energy_kj_mol=400.3 energy_ev=-24181.062
H 0.5511 -0.1118 -4.3282 0.3 -0.9 0.8
H -1.5959 0.4382 -3.3542 -0.5 -0.9 1.1
O 0.9671 1.1052 -2.5922 0.4 -0.3 -1.3
C -0.1669 -1.5228 -0.3712 0.7 0.4 -0.2
H 0.6911 3.8842 0.2668 1.1 1.3 0.1
H -2.1889 -0.5847 3.1738 -0.1 -0.3 -0.2
O -3.4509 2.7752 -1.2442 0.6 -1.0 0.1
C -3.2759 1.4672 -0.6582 2.2 1.6 0.1
H -2.1629 1.0482 3.6618 -0.1 0.4 -0.1
H 2.7911 -1.5288 1.8458 0.0 -0.2 0.7
H -4.1539 0.9922 -0.4622 -3.1 -0.7 0.4
H 1.0351 1.3972 -4.6872 -0.4 0.8 0.8
H 3.9011 -0.7428 -1.2942 -0.3 -0.3 0.4
H -0.1779 0.6542 2.8758 -0.3 -0.2 -0.8
O -0.3359 -0.0828 -0.5212 0.8 -1.8 -1.6
H 0.4901 -2.9508 4.3858 0.5 0.6 0.4
H 2.4611 -3.7248 2.9828 0.6 0.1 0.8
H 0.4671 2.2052 0.4668 -0.1 -0.2 0.8
O 2.1591 -1.6878 2.5728 0.6 1.2 0.0
C 0.4641 -3.0817 3.3188 -1.7 -1.7 -1.0
H 2.7101 -2.0608 -0.8662 0.8 -0.1 0.1
C 0.4411 0.8842 -3.9112 -0.5 0.0 -0.2
O -0.5669 2.9882 -1.0542 -1.6 0.7 -0.2
H -2.8119 1.6352 0.3278 0.3 -0.5 -0.4
H 0.1301 -2.0108 -1.3622 -0.8 1.0 1.2
H 0.0981 2.8162 -1.7142 0.7 -0.4 -0.2
H 1.7311 -3.3778 1.5688 -0.9 -0.3 -1.1
C 1.7571 -3.0098 2.5718 -0.1 0.0 0.5
O -0.8309 0.5723 2.1518 0.8 0.4 0.3
H 0.6181 -1.8248 0.3488 -0.2 0.6 -0.2
H -1.3129 2.1363 -3.5962 -0.1 0.6 0.4
H -0.3809 0.3502 0.3228 -0.2 0.1 1.1
C -0.0439 3.1322 0.2368 0.2 -0.7 -0.5
O 3.9631 -1.3927 0.7148 -1.4 0.5 -0.4
H -2.9399 0.6333 2.1128 0.8 0.0 0.1
H -0.3589 -2.4808 2.8768 0.7 0.0 0.2
C -1.0609 1.1472 -3.9172 0.5 0.6 -2.2
H 2.4691 -0.5258 -0.3162 -1.2 1.7 0.5
H -1.4789 1.0392 -4.9402 0.4 0.1 0.3
C 3.2611 -1.1717 -0.4992 0.2 -0.9 -1.2
H -0.8289 3.4312 0.9258 -0.1 -0.5 0.0
H 0.1131 -4.1228 3.2098 -0.1 0.1 0.1
H -2.7419 0.7142 -1.2542 0.5 0.7 0.0
H 0.4851 0.5192 -1.9822 -0.1 0.2 0.3
C -2.0779 0.4232 2.7728 -1.1 -0.4 0.9
H -2.5349 3.1222 -1.2402 -0.5 -0.1 -0.2
H 4.8111 -1.6258 0.4328 2.2 -0.7 0.0
H -1.0879 -1.8908 0.0418 -0.5 -0.6 -0.2

Entry 2:
28
Properties=species:S:1:pos:R:3:forces:R:3 method="wB97M-V/def2-TZVPD" largest_force_ev_per_a=5.0 gap_ev=8.9 smiles="CC1=C[C@](C)([N+](=O)[O-])C(C)(C)C=C1" relative_energy_kj_mol=538.3 energy_ev=-16193.513
C 1.5130 0.9676 -0.0700 1.6 0.7 -1.7
H 3.0074 2.6144 0.2357 -0.4 0.5 -0.1
H 3.5804 1.0525 0.3966 0.8 -0.6 -0.5
H 3.1720 1.7417 -1.3434 0.1 -0.4 1.6
C -0.2720 0.2569 1.3431 -1.3 -0.6 0.6
C 0.4947 -1.9019 -0.7010 1.0 1.9 0.4
N -1.0491 -0.7004 -2.2552 1.8 2.1 1.1
H -2.5638 -1.4657 -0.3561 -0.2 -0.4 0.9
C 2.9371 1.6406 -0.2352 -2.1 -0.1 -0.5
C -2.0970 -1.2097 0.6158 -3.2 1.7 -2.4
C 0.9165 0.8136 1.2650 0.0 -0.6 -0.4
H -0.1560 -2.6113 -1.0589 -1.8 -2.2 0.2
H -2.3388 1.0319 -1.1376 -1.4 -0.6 -1.9
C 0.9364 0.4618 -1.1997 -1.4 0.1 4.8
H 1.3367 1.0620 2.2142 0.9 0.6 0.1
C -1.1163 -0.1822 0.2316 0.5 2.6 -3.1
O -0.8728 0.2224 -3.0531 -1.3 -1.6 -0.4
H -1.0446 1.8552 -0.4556 0.0 0.5 0.3
H -0.9101 0.0929 2.1990 0.8 0.5 1.1
O -1.8065 -1.6364 -2.2727 -0.3 0.1 -1.3
>>>

Be patient and not rushed, as the process of losing weight after childbirth may take several months.

Reasons for difficulty in losing weight after childbirth

1.     Lack of estimation of food quantities

After giving birth, a woman confuses the matter between feeding to make up for what she lost, and the amount of food she eats. It must be known that even healthy food contains calories, as increasing the amount of food causes difficulty in losing weight after childbirth.

2.     Not to organize meal times

The results of the diet depend on the timing of eating, so eating at certain times is important, so that you do not have to eat at wrong times, such as the timing of the night.

3.     Lack of sleep

It is common for adequate sleep to greatly aid in burning fat and losing weight. Sleeping for long hours is difficult for a newborn woman because of a newborn, so the level of cortisol rises in the blood, and as a result, the rate of burning decreases.

4.     Stop breastfeeding

Breastfeeding greatly contributes to burning calories, so stopping them for any reason does not lead to weight loss after childbirth.

5.     Lack of exercise

The mother finds it difficult to get regular exercise, and this is a major factor that prevents weight loss, so the solution lies in allocating a specific timing for sports, even if it is short, and if it is a light sport such as walking, for example.

6.     Not eating breakfast

Breakfast in the morning is important in the process of losing weight after childbirth, even if a cup of coffee or tea is not considered breakfast.

Fast and prepared food is also an important reason for not losing weight after childbirth.

7.     Wear pregnancy clothes

The psychological factor always plays a pivotal role in the process of losing weight, so wearing loose-fitting clothes for pregnancy gives you the feeling that you are normal and that your weight is normal, so it is important to choose clothes that fit your size, not clothes during pregnancy.

How to lose weight after giving birth

There are some traditional and simple steps you can take to lose weight after childbirth, which we discuss in the following:

1.     Breastfeeding

The problem of not losing weight after childbirth has multiple reasons, the most important of which is the interruption of breastfeeding for any reason. In addition to the benefits of feeding the baby, it helps in burning about 600 calories on a daily basis.

2.     Dependence on protein

Protein has a great role in losing weight after childbirth, as it plays multiple roles at the same time, including nourishing the mother properly, feeling full and helping to burn calories.

Protein in general is an ideal solution for dieting systems, as it is difficult to digest and needs a lot of energy for the process of digesting it, thus burning a lot of calories as a result.

Healthy proteins are meat, legumes, fish, nuts, dairy products, seeds and eggs.

3.     Food rich in fiber

Insoluble fiber slows down the digestive process, reduces the effectiveness of hunger hormones, and contains fatty acids that increase the feeling of satiety.

According to a study conducted, only 10 grams of insoluble fiber is sufficient to start the effect of losing weight and burning calories.

4.     Eat healthy foods

Unhealthy snacks do not provide anything beneficial to the body, on the contrary, they create problems, and may lead to stabilization of weight after birth.

They should be replaced with healthy snacks, such as fruits and vegetables.

5.     Drink water a lot

It is natural that drinking large quantities of water every day has a role in weight loss, so if you want to lose weight after childbirth, you should drink about 2 liters, or a liter and a half at least, on a daily basis.

6.     Reducing carbohydrates and sugars

Carbohydrates and added sugar in drinks work for weight gain after birth, and if consumed too much, they may cause some other diseases.

7.     Get enough sleep

The number of short sleep hours is generally against the principle of weight loss, so it is very important to sleep enough hours.

8.     Aerobic exercise

The meaning is not related to the type of sport or a large number of times it is practiced, but only daily practice, even if it is a light-sport such as walking. Its really important to lose weight after giving birth.